This addresses investment advisers who are succeeding their business to another entity or individual. There are two types of succession: Succession by Legal Status or Succession by Organization.
Succession by Legal Status
This applies if an investment adviser is changing its form of organization from a sole proprietorship to a limited liability company, for example. The following information provides steps to completing a succession by legal status:
(1) Investment Adviser Registration Depository (IARD)
- Form ADV Part 1: File an amendment to update all required sections. At a minimum this will include: Items 4, 5, and 6. [WAC 460-24A-205(1)(a)]
- Form ADV Part 2: Update all necessary items. [WAC 460-24A-145(6)]
- Form U4: Initiate or file updating amendments for each investment adviser representative. [WAC 460-24A-205(2)]
- Payment: Submit a $50 successor fee payable to the Department of Financial Institutions. [RCW 21.20.340(9)(d)]
- Investment Adviser Successor Payment Form: Complete form and mail with payment to:
Department of Financial Institutions
Securities Division
Attn: Investment Adviser Licensing
PO Box 41200
Olympia, WA 98504-1200
(3) Investment Adviser Records
- Review and update investment advisory contract(s) to reflect your name change and any other applicable provision(s). [WAC 460-24A-130]
- Review and update all advertisements. [WAC 460-24A-100 and SAPS-20]
Data records that have nothing to do with the piece
<<<
A plane-wave DFT calculation with GGA+U was carried out for a relaxed CoSbP2O8 crystal.

Unit cell a=4.9399 b=11.8986 c=11.9599 alpha=65.55 beta=85.33 gamma=85.11
Last column: nearest neighbours and their distance in Å.
Space group P1 (No. 1)
Symmetry-distinct sites (fractional):
Co (0.0000, 0.0000, 0.0000) (multiplicity 1)  4 O 1.95-2.06
Co (0.0249, 0.5464, 0.4483) (multiplicity 1)  4 O 1.98-2.07
Co (0.8171, 0.4892, 0.9478) (multiplicity 1)  4 O 1.97-2.11
Co (0.8474, 0.0302, 0.4038) (multiplicity 1)  4 O 1.95-2.05
Sb (0.3351, 0.2952, 0.2213) (multiplicity 1)  4 O 2.18-2.29
Sb (0.3851, 0.7838, 0.7239) (multiplicity 1)  6 O 1.97-2.10
Sb (0.4590, 0.2413, 0.6837) (multiplicity 1)  6 O 1.97-2.07
Sb (0.5153, 0.7342, 0.1816) (multiplicity 1)  4 O 2.18-2.30
P (0.0039, 0.3367, 0.7722) (multiplicity 1)  4 O 1.50-1.60
P (0.0458, 0.8372, 0.2827) (multiplicity 1)  4 O 1.51-1.60
P (0.2691, 0.6122, 0.0169) (multiplicity 1)  4 O 1.53-1.63
P (0.3003, 0.0739, 0.5446) (multiplicity 1)  4 O 1.51-1.60
P (0.5464, 0.9511, 0.8619) (multiplicity 1)  4 O 1.51-1.60
P (0.5723, 0.4143, 0.3917) (multiplicity 1)  4 O 1.53-1.62
P (0.8053, 0.1929, 0.1211) (multiplicity 1)  4 O 1.52-1.60
P (0.8421, 0.6851, 0.6371) (multiplicity 1)  4 O 1.50-1.61
O (0.0145, 0.4156, 0.8420) (multiplicity 1)  1 P 1.50
O (0.0677, 0.9075, 0.3618) (multiplicity 1)  1 P 1.51
O (0.1049, 0.2032, 0.1391) (multiplicity 1)  1 P 1.53
O (0.1301, 0.4894, 0.0502) (multiplicity 1)  1 P 1.55
O (0.1427, 0.7054, 0.6506) (multiplicity 1)  1 P 1.56
O (0.1484, 0.1229, 0.4249) (multiplicity 1)  1 P 1.54
O (0.1696, 0.6784, 0.1003) (multiplicity 1)  1 P 1.54
O (0.1723, 0.6982, 0.8790) (multiplicity 1)  1 P 1.63
O (0.1751, 0.3893, 0.6430) (multiplicity 1)  1 P 1.60
O (0.1802, 0.2091, 0.8297) (multiplicity 1)  1 P 1.60
O (0.1800, 0.9433, 0.6310) (multiplicity 1)  1 P 1.60
O (0.2122, 0.7065, 0.3361) (multiplicity 1)  1 P 1.60
O (0.2128, 0.8947, 0.1537) (multiplicity 1)  1 P 1.60
O (0.2219, 0.1623, 0.6120) (multiplicity 1)  1 P 1.58
O (0.2409, 0.9602, 0.8813) (multiplicity 1)  1 P 1.51
O (0.2622, 0.4341, 0.3933) (multiplicity 1)  1 P 1.53
O (0.5785, 0.5917, 0.0172) (multiplicity 1)  1 P 1.53
O (0.6059, 0.0630, 0.5258) (multiplicity 1)  1 P 1.51
O (0.6256, 0.8617, 0.7954) (multiplicity 1)  1 P 1.58
O (0.6385, 0.1354, 0.2503) (multiplicity 1)  1 P 1.60
O (0.6403, 0.3243, 0.0689) (multiplicity 1)  1 P 1.60
O (0.6627, 0.8116, 0.5797) (multiplicity 1)  1 P 1.59
O (0.6655, 0.0814, 0.7749) (multiplicity 1)  1 P 1.60
O (0.6712, 0.3274, 0.5282) (multiplicity 1)  1 P 1.62
O (0.6716, 0.3495, 0.3070) (multiplicity 1)  1 P 1.54
O (0.6723, 0.6327, 0.7676) (multiplicity 1)  1 P 1.61
O (0.6997, 0.9037, 0.9814) (multiplicity 1)  1 P 1.54
O (0.7022, 0.3181, 0.7581) (multiplicity 1)  1 P 1.56
O (0.7081, 0.5383, 0.3568) (multiplicity 1)  1 P 1.55
>>>
- Review and update all necessary books and records. [WAC 460-24A-200]
Succession by Organization
This applies where the underlying ownership of the adviser changes. For example, where the majority ownership in a company changes from one individual to another. In this type of succession, a new application is required. This cannot be done by amendment.
If you do not qualify for succession by legal status, the investment adviser must re-apply for registration. The following information provides steps to completing a succession by Organization:
(1) Send an email to notifying the Division of your intent to file a succession by filing a new investment adviser registration application and include the intended date of succession and name of the new owner(s).
(2) Investment Adviser Registration Depository (IARD)
- Set Up Your Account
- Fund Your Account
- File Online: Form ADV Part 1 (be sure to complete Item 4), Form ADV Part 2, and Form U4.
- Payment: Submit a $50 successor fee payable to the Department of Financial Institutions. [RCW 21.20.340(9)(d)]
- Investment Adviser Successor Payment Form: Complete form and mail with payment to:
Department of Financial Institutions
Securities Division
Attn: Investment Adviser Licensing
PO BOX 41200
Olympia, WA 98504-1200
(4) Investment Adviser Records
Attached: data records:
(1)
The following is a PBE calculation of a geometry-optimized K11Li4Ta15O45 structure, from Materials Project.

Energy of formation from the pure elements = -3033.0 meV/atom
Magnetization = 0.000 μB/f.u.

a b c (Å): 4.028 18.172 54.616
angles (deg): 90.00 90.00 90.00
Space group Amm2 (No. 38)
Inequivalent atoms, fractional coordinates:
K (0.000, 0.000, 0.000)
K (0.000, 0.000, 0.066)
K (0.000, 0.000, 0.152)
K (0.000, 0.000, 0.219)
K (0.000, 0.000, 0.333)
K (0.000, 0.000, 0.402)
K (0.000, 0.000, 0.551)
K (0.000, 0.000, 0.667)
K (0.000, 0.000, 0.735)
K (0.000, 0.000, 0.885)
K (0.000, 0.174, 0.109)
K (0.000, 0.174, 0.443)
K (0.000, 0.174, 0.776)
K (0.000, 0.248, 0.526)
K (0.000, 0.248, 0.859)
K (0.000, 0.250, 0.193)
Li (0.000, 0.000, 0.485)
Li (0.000, 0.000, 0.818)
Li (0.000, 0.125, 0.276)
Li (0.000, 0.125, 0.609)
Li (0.000, 0.125, 0.943)
Ta (0.500, 0.000, 0.109)
Ta (0.500, 0.000, 0.276)
Ta (0.500, 0.000, 0.444)
Ta (0.500, 0.000, 0.609)
Ta (0.500, 0.000, 0.777)
Ta (0.500, 0.000, 0.943)
Ta (0.500, 0.109, 0.504)
Ta (0.500, 0.109, 0.837)
Ta (0.500, 0.113, 0.171)
Ta (0.500, 0.113, 0.381)
Ta (0.500, 0.113, 0.714)
Ta (0.500, 0.114, 0.047)
Ta (0.500, 0.182, 0.906)
Ta (0.500, 0.183, 0.240)
Ta (0.500, 0.183, 0.573)
Ta (0.500, 0.183, 0.645)
Ta (0.500, 0.184, 0.312)
Ta (0.500, 0.184, 0.979)
O (0.000, 0.000, 0.109)
O (0.000, 0.000, 0.276)
O (0.000, 0.000, 0.447)
O (0.000, 0.000, 0.609)
O (0.000, 0.000, 0.781)
O (0.000, 0.000, 0.943)
O (0.000, 0.103, 0.504)
O (0.000, 0.103, 0.837)
O (0.000, 0.116, 0.379)
O (0.000, 0.116, 0.713)
O (0.000, 0.117, 0.046)
O (0.000, 0.117, 0.173)
O (0.000, 0.182, 0.575)
O (0.000, 0.182, 0.643)
O (0.000, 0.182, 0.908)
O (0.000, 0.183, 0.242)
O (0.000, 0.183, 0.310)
O (0.000, 0.183, 0.977)
O (0.500, 0.000, 0.038)
O (0.500, 0.000, 0.180)
O (0.500, 0.000, 0.372)
O (0.500, 0.000, 0.512)
O (0.500, 0.000, 0.706)
O (0.500, 0.000, 0.845)
O (0.500, 0.076, 0.750)
O (0.500, 0.077, 0.083)
O (0.500, 0.077, 0.136)
O (0.500, 0.077, 0.417)
O (0.500, 0.077, 0.469)
O (0.500, 0.077, 0.802)
O (0.500, 0.078, 0.251)
O (0.500, 0.078, 0.584)
O (0.500, 0.078, 0.634)
O (0.500, 0.078, 0.917)
O (0.500, 0.079, 0.301)
O (0.500, 0.079, 0.968)
O (0.500, 0.145, 0.538)
O (0.500, 0.145, 0.872)
O (0.500, 0.146, 0.013)
O (0.500, 0.146, 0.206)
O (0.500, 0.146, 0.346)
O (0.500, 0.146, 0.680)
O (0.500, 0.208, 0.609)
O (0.500, 0.209, 0.276)
O (0.500, 0.209, 0.942)
O (0.500, 0.213, 0.491)
O (0.500, 0.213, 0.824)
O (0.500, 0.214, 0.158)
O (0.500, 0.214, 0.394)
O (0.500, 0.214, 0.728)
O (0.500, 0.215, 0.061)

***

(2)
The following is a PBE calculation of a geometry-optimized K3Li3TeO6 structure, from Materials Project.

Energy of formation from the pure elements = -1957.0 meV/atom
Magnetization = 0.000 μB/f.u.

a b c (Å): 11.858 6.074 9.834
angles (deg): 90.00 90.00 90.00
Space group Pnma (No. 62)
Inequivalent atoms, fractional coordinates:
K (0.006, 0.250, 0.207)
K (0.028, 0.250, 0.872)
K (0.038, 0.750, 0.459)
Li (0.243, 0.506, 0.836)
Li (0.249, 0.250, 0.091)
- Review and update investment advisory contract(s) to reflect your name change and any other applicable provision(s). [WAC 460-24A-130]
- Review and update all advertisements. [WAC 460-24A-100 and SAPS-20]
- Review and update all necessary books and records. [WAC 460-24A-200]
- Submit investment advisory contract(s), balance sheet, and list of representatives to
If this is the case, please send an email to notifying the Division of your intent to file a succession by filing a new investment adviser registration application and include the intended date of succession and name of the new owner(s).
If you have questions regarding whether your succession requires registration by amendment or new application, please feel free to contact us via email at or by phone at (360) 902-8815.